On full Jacobian decomposition of the augmented Lagrangian method for separable convex programming

The augmented Lagrangian method (ALM) is a benchmark for solving the convex minimization problem with linear constraints. We consider the special case where the objective is in form of the sum of m functions without coupled variables. For solving this separable convex programming model, it is usually required to decompose the ALM subproblem at each … Read more

**Calculated crystals that have nothing to do with the piece**
Record 1
Ca2Ac6Nd: simulated powder X-ray diffraction pattern (Cu Kα (λ = 1.5418 Å)), based on the PBE geometry in Alexandria.
Kinematic intensities with the Lorentz-polarization factor, no thermal factor.

Main lines, by angle (15 to 90 degrees two-theta):
- 2θ 26.20, rel. 51
- 2θ 27.28, rel. 41
- 2θ 28.92, rel. 54
- 2θ 30.36, rel. 100
- 2θ 38.18, rel. 33
- 2θ 46.24, rel. 36
- 2θ 51.08, rel. 33
- 2θ 54.51, rel. 37
- 2θ 56.31, rel. 25
- 2θ 75.73, rel. 24

abc: 3.927 3.927 29.426
angles: 90.00 90.00 120.00
Positions (direct):
Ca 0.000 0.000 0.172
Ca 0.000 0.000 0.828
Ac 0.000 0.000 0.395
Ac 0.000 0.000 0.605
Ac 0.667 0.333 0.063
Ac 0.667 0.333 0.284
Ac 0.667 0.333 0.716
Ac 0.667 0.333 0.937
Nd 0.667 0.333 0.500

Record 2
ZrNpS2N: simulated powder X-ray diffraction pattern (Cu Kα (λ = 1.5418 Å)), based on the PBE geometry in Alexandria.
Kinematic intensities with the Lorentz-polarization factor, no thermal factor.

Main lines, by angle (15 to 90 degrees two-theta):
- 2θ 27.63, rel. 23
- 2θ 27.84, rel. 100
- 2θ 31.94, rel. 38
- 2θ 34.36, rel. 67
- 2θ 36.99, rel. 48
- 2θ 44.64, rel. 32
- 2θ 49.38, rel. 28
- 2θ 55.32, rel. 24
- 2θ 57.64, rel. 28
- 2θ 63.27, rel. 20

abc: 3.691 3.691 12.915
angles: 90.00 90.00 90.00
Positions (direct):
Zr 0.250 0.250 0.092
Zr 0.750 0.750 0.908
Np 0.250 0.250 0.595
Np 0.750 0.750 0.405
S 0.250 0.250 0.296
S 0.250 0.250 0.885
S 0.750 0.750 0.115
S 0.750 0.750 0.704
N 0.250 0.750 0.500
N 0.750 0.250 0.500

Record 3
Pm12YHo5: simulated powder X-ray diffraction pattern (Cu Kα (λ = 1.5418 Å)), based on the PBE geometry in Alexandria.
Kinematic intensities with the Lorentz-polarization factor, no thermal factor.

Main lines, by angle (15 to 90 degrees two-theta):
- 2θ 25.43, rel. 7
- 2θ 31.02, rel. 23
- 2θ 31.23, rel. 100
- 2θ 44.63, rel. 15
- 2θ 55.31, rel. 16
- 2θ 55.58, rel. 11
- 2θ 55.67, rel. 6
- 2θ 62.03, rel. 10
- 2θ 62.15, rel. 7
- 2θ 85.42, rel. 6

abc: 10.508 10.508 5.765
angles: 90.00 90.00 109.54
Positions (direct):
Pm 0.031 0.670 0.999
Pm 0.169 0.531 0.501
Pm 0.201 0.201 0.495
Pm 0.298 0.298 0.995
Pm 0.330 0.969 0.001
Pm 0.469 0.831 0.499
Pm 0.531 0.169 0.501
Pm 0.670 0.031 0.999
Pm 0.702 0.702 0.005
Pm 0.799 0.799 0.505
Pm 0.831 0.469 0.499
Pm 0.969 0.330 0.001
Y 0.500 0.500 0.500
Ho 0.000 0.000 0.000
Ho 0.135 0.865 0.500
Ho 0.365 0.635 0.000
Ho 0.635 0.365 0.000
Ho 0.865 0.135 0.500
**The calculated crystals stop here**

Level Bundle Methods for Constrained Convex Optimization with Various Oracles

We propose restricted memory level bundle methods for minimizing constrained convex nonsmooth optimization problems whose objective and constraint functions are known through oracles (black-boxes) that might provide inexact information. Our approach is general and covers many instances of inexact oracles, such as upper, lower and on-demand oracles. We show that the proposed level bundle methods … Read more

Nonsmooth Optimization Using Uncontrolled Inexact Information

We consider convex nonsmooth optimization problems whose objective function is known through a (fine) oracle together with some additional (cheap but poor) information – formalized as a second coarse oracle with uncontrolled inexactness. It is the case when the objective function is itself the output of an optimization solver, using a branch-and-bound procedure, or decomposing … Read more

Robust convex relaxation for the planted clique and densest k-subgraph problems

We consider the problem of identifying the densest k-node subgraph in a given graph. We write this problem as an instance of rank-constrained cardinality minimization and then relax using the nuclear and l1 norms. Although the original combinatorial problem is NP-hard, we show that the densest k-subgraph can be recovered from the solution of our … Read more

A proximal technique for computing the Karcher mean of symmetric positive definite matrices

This paper presents a proximal point approach for computing the Riemannian or intrinsic Karcher mean of symmetric positive definite matrices. Our method derives from proximal point algorithm with Schur decomposition developed to compute minimum points of convex functions on symmetric positive definite matrices set when it is seen as a Hadamard manifold. The main idea … Read more

**What comes next are crystal structures, not part of the article:**
********
# TiVH4
Computed powder XRD pattern, λ = 1.5418 Å (Cu Kα). Input: a structure optimized by DFT (GGA-PBE).
Lines closer than 0.1° are merged.

Top 5 peaks for 2θ = 15–90°, low angle first:
two_theta	I/Imax
36.0	100
41.8	43
60.6	30
72.5	32
76.3	9

Cell and atoms:
abc: 3.0563 3.0563 14.9696
angles: 90.00 90.00 120.00
Space group R-3m (No. 166, hexagonal axes)
Unique sites:
Ti 0.0000 0.0000 0.0000
V 0.0000 0.0000 0.5000
H 0.0000 0.0000 0.1284
H 0.0000 0.0000 0.3785

----------

This entry pairs a crystal structure of NaLiPdO2 with its computed powder XRD pattern. Radiation: λ = 1.5418 Å (Cu Kα). Structure: the PBE geometry in OQMD.
Peak positions follow from Bragg's law for the DFT cell and can differ from measured ones.

The 10 most intense peaks (2θ = 10–90°), in order of rising 2θ:
19.07°, I 36; 22.57°, I 100; 30.84°, I 19; 35.55°, I 25; 35.96°, I 23; 41.02°, I 30; 41.52°, I 60; 52.62°, I 9; 53.86°, I 21; 60.18°, I 24

```
5
Lattice="-1.526 2.174 4.653 1.526 -2.174 4.653 1.526 2.174 -4.653" Properties=species:S:1:pos:R:3 pbc="T T T"
Na 0.000 0.000 0.000
Li 0.000 0.000 3.485
Pd 0.000 0.000 6.248
O 0.000 2.174 0.176
O 0.000 2.174 2.946
```

---

This entry pairs a crystal structure of Rb2NaLi2ReO6 with its computed powder XRD pattern. Radiation: λ = 1.5418 Å (Cu Kα). Structure: the PBE geometry in OQMD.
Peak positions follow from Bragg's law for the DFT cell and can differ from measured ones.

The 10 most intense peaks (2θ = 10–90°), in order of rising 2θ:
14.74°, I 32; 17.17°, I 35; 18.51°, I 100; 21.26°, I 28; 27.18°, I 71; 29.99°, I 55; 30.75°, I 32; 31.29°, I 25; 35.95°, I 67; 40.47°, I 26

```
12
Lattice="3.024 -6.009 0.000 3.024 6.009 0.000 -1.653 0.000 4.794" Properties=species:S:1:pos:R:3 pbc="T T T"
Rb 3.024 3.819 0.000
Rb 3.024 -3.819 0.000
Na -0.826 0.000 2.397
Li 2.198 1.185 2.397
Li 2.198 -1.185 2.397
Re 3.024 0.000 0.000
O 0.694 1.353 3.620
O 1.411 0.000 1.021
O 0.694 -1.353 3.620
O 3.701 1.353 1.174
O 2.984 0.000 3.773
O 3.701 -1.353 1.174
```

---

This entry pairs a crystal structure of Na2LiReO6 with its computed powder XRD pattern. Radiation: λ = 1.5418 Å (Cu Kα). Structure: the PBE geometry in OQMD.
Peak positions follow from Bragg's law for the DFT cell and can differ from measured ones.

The 10 most intense peaks (2θ = 10–90°), in order of rising 2θ:
18.38°, I 49; 27.65°, I 100; 32.05°, I 67; 37.13°, I 24; 38.36°, I 40; 41.73°, I 27; 46.96°, I 37; 53.52°, I 20; 53.62°, I 37; 61.30°, I 26

```
10
Lattice="3.425 0.000 0.000 0.000 3.425 0.000 0.000 0.000 9.652" Properties=species:S:1:pos:R:3 pbc="T T T"
Na 0.000 0.000 2.107
Na 0.000 0.000 7.545
Li 1.712 1.712 0.000
Re 1.712 1.712 4.826
O 0.000 0.000 0.000
O 0.000 0.000 4.826
O 0.000 1.712 3.552
O 0.000 1.712 6.100
O 1.712 0.000 3.552
O 1.712 0.000 6.100
```

---

This entry pairs a crystal structure of Na4LiReO6 with its computed powder XRD pattern. Radiation: λ = 1.5418 Å (Cu Kα). Structure: the PBE geometry in OQMD.
********

On the Complexity Analysis of Randomized Block-Coordinate Descent Methods

In this paper we analyze the randomized block-coordinate descent (RBCD) methods for minimizing the sum of a smooth convex function and a block-separable convex function. In particular, we extend Nesterov’s technique (SIOPT 2012) for analyzing the RBCD method for minimizing a smooth convex function over a block-separable closed convex set to the aforementioned more general … Read more

Cutting-planes for optimization of convex functions over nonconvex sets

Motivated by mixed-integer, nonlinear optimization problems, we derive linear inequality characterizations for sets of the form conv{(x, q ) \in R^d × R : q \in Q(x), x \in R^d – int(P )} where Q is convex and differentiable and P \subset R^d . We show that in several cases our characterization leads to polynomial-time … Read more

On a generalization of Pólya’s and Putinar-Vasilescu’s Positivstellensätze

In this paper we provide a generalization of two well-known positivstellensätze, namely the positivstellensatz from Pólya [Georg Pólya. Über positive darstellung von polynomen vierteljschr. In Naturforsch. Ges. Zürich, 73: 141-145, 1928] and the positivestellensatz from Putinar and Vasilescu [Mihai Putinar and Florian-Horia Vasilescu. Positive polynomials on semialgebraic sets. Comptes Rendus de l’Académie des Sciences – … Read more

Lagrangian Transformation and Interior Ellipsoid Methods in Convex Optimization

The rediscovery of the affine scaling method in the late 80s was one of the turning points which led to a new chapter in Modern Optimization – the interior point methods (IPMs). Simultaneously and independently the theory of exterior point methods for convex optimization arose. The two seemingly unconnected fields turned out to be intrinsically … Read more

Someone pasted materials data at this point >
~~~
Simulated X-ray powder pattern of BaCdIn4 for Cu Kα, 1.54184 Å, from a cell relaxed with GGA-PBE.
Peak positions follow from Bragg's law for the DFT cell and can differ from measured ones.

Main lines, by intensity (10° ≤ 2θ ≤ 80°):
| h k l | 2θ/deg | I_rel |
| --- | --- | --- |
| 0 4 1 | 28.79 | 100 |
| 2 3 1 | 31.91 | 46 |
| 1 4 1 | 30.33 | 38 |
| 0 0 2 | 43.48 | 34 |
| 0 8 1 | 44.74 | 27 |
| 0 8 0 | 38.83 | 26 |
| 2 5 0 | 30.44 | 25 |
| 1 3 1 | 27.45 | 24 |

Cell and atoms:
abc: 9.616 18.540 4.163
angles: 90.00 90.00 90.00
Space group Pbam (No. 55)
Unique sites:
Ba: 0.125 0.150 0.000 x4
Cd: 0.129 0.414 0.000 x4
In: 0.022 0.695 0.500 x4
In: 0.119 0.548 0.500 x4
In: 0.131 0.963 0.500 x4
In: 0.216 0.811 0.500 x4


MnPb3Cl8: computed powder diffractogram (Cu Kα, 1.54184 Å), based on DFT lattice parameters and positions (PBE).
Kinematic intensities with the Lorentz-polarization factor, no thermal factor.

Structure:
Cell: 8.0637 12.4162 8.2160 Å, 90.00 90.00 90.00°
Space group C222 (No. 21)
Unique sites:
Mn (0.0000, 0.0000, 0.0000)
Pb (0.0000, 0.0000, 0.5000)
Pb (0.2500, 0.2500, 0.2426)
Cl (0.0000, 0.2045, 0.0000)
Cl (0.0000, 0.2352, 0.5000)
Cl (0.2259, 0.0146, 0.2218)

Most intense lines, 15 to 90 degrees two-theta, low angle first:
(1 1 1), 2θ 16.98, I = 100
(1 1 2), 2θ 25.37, I = 15
(0 2 2), 2θ 26.01, I = 15
(2 2 0), 2θ 26.36, I = 14
(1 3 1), 2θ 26.53, I = 31
(0 4 0), 2θ 28.76, I = 31
(2 0 2), 2θ 31.08, I = 55
(1 1 3), 2θ 35.36, I = 17
(3 1 1), 2θ 35.89, I = 18
(1 5 1), 2θ 39.52, I = 15
(2 4 2), 2θ 42.85, I = 40
(0 0 4), 2θ 44.08, I = 18
~~~
So much for the materials data >

Minimal Residual Methods for Complex Symmetric, Skew Symmetric, and Skew Hermitian Systems

While there is no lack of efficient Krylov subspace solvers for Hermitian systems, there are few for complex symmetric, skew symmetric, or skew Hermitian systems, which are increasingly important in modern applications including quantum dynamics, electromagnetics, and power systems. For a large consistent complex symmetric system, one may apply a non-Hermitian Krylov subspace method disregarding … Read more